+++
1.
CdIn2AsH after structural relaxation. Source: Alexandria via LeMat-Bulk, functional PBEsol.

- Spin magnetization: 0.0 μB per formula unit
- Energy: -14.3 eV per cell

Cell lengths 4.7834, 4.7834, 4.2055 Å; angles 90.00, 90.00, 90.00 degrees
Last column: nearest neighbours and their distance in Å.
Fractional coordinates of all 5 atoms:
Cd1 0.0000 0.0000 0.0000  2 H 2.10
In1 0.0000 0.5000 0.5000  2 H 2.39
In2 0.5000 0.0000 0.5000  2 H 2.39
As1 0.5000 0.5000 0.0000  8 In 3.18, 4 Cd 3.38
H1 0.0000 0.0000 0.5000  2 Cd 2.10

=====

2.
HfCd3As after structural relaxation. Source: Alexandria via LeMat-Bulk, functional PBEsol.

- Spin magnetization: 0.0 μB per formula unit
- Energy of formation from the pure elements: 4.3 eV per formula unit
- Energy: -14.9 eV per cell

Cell lengths 5.0313, 5.0313, 5.0313 Å; angles 90.00, 90.00, 90.00 degrees
Last column: nearest neighbours and their distance in Å.
Fractional coordinates of all 5 atoms:
Hf1 0.0000 0.0000 0.0000  12 Cd 3.56
Cd1 0.0000 0.5000 0.5000  2 As 2.52
Cd2 0.5000 0.0000 0.5000  2 As 2.52
Cd3 0.5000 0.5000 0.0000  2 As 2.52
As1 0.5000 0.5000 0.5000  6 Cd 2.52

=====

3.
CdHg2As after structural relaxation. Source: Alexandria via LeMat-Bulk, functional PBEsol.

- Excess energy over the best structure of this formula in the dataset: 0 meV/atom
- Spin magnetization: 0.0 μB per formula unit
- Energy of formation from the pure elements: 0.6 eV per formula unit
- Energy: -6.9 eV per cell

Cell lengths 8.7398, 8.7398, 8.7398 Å; angles 22.67, 22.67, 22.67 degrees
Last column: nearest neighbours and their distance in Å.
Fractional coordinates of all 4 atoms:
Cd1 0.0000 0.0000 0.0000  6 Hg 2.94
Hg1 0.2484 0.2484 0.2484  3 As 2.88, 3 Cd 2.94
Hg2 0.7516 0.7516 0.7516  3 As 2.88, 3 Cd 2.94
As1 0.5000 0.5000 0.5000  6 Hg 2.88

=====

4.
CdHg2As after structural relaxation. Source: Alexandria via LeMat-Bulk, functional PBEsol.

- Excess energy over the best structure of this formula in the dataset: 33 meV/atom
- Spin magnetization: 0.0 μB per formula unit
- Energy of formation from the pure elements: 0.7 eV per formula unit
- Energy: -6.7 eV per cell

Cell lengths 4.9623, 4.9623, 4.9623 Å; angles 60.00, 60.00, 60.00 degrees
Last column: nearest neighbours and their distance in Å.
Fractional coordinates of all 4 atoms:
Cd1 0.0000 0.0000 0.0000  4 Hg 3.04, 4 As 3.04
Hg1 0.2500 0.2500 0.2500  4 Cd 3.04, 4 Hg 3.04
Hg2 0.5000 0.5000 0.5000  4 Hg 3.04, 4 As 3.04
As1 0.7500 0.7500 0.7500  4 Hg 3.04, 4 Cd 3.04

=====

5.
NbCdHgAs2 after structural relaxation. Source: Alexandria via LeMat-Bulk, functional PBEsol.

- Spin magnetization: 2.4 μB per formula unit
- Energy of formation from the pure elements: 6.5 eV per formula unit
- Energy: -16.3 eV per cell

Cell lengths 4.9215, 4.9215, 5.3809 Å; angles 90.00, 90.00, 90.00 degrees
Last column: nearest neighbours and their distance in Å.
Fractional coordinates of all 5 atoms:
Nb1 0.0000 0.0000 0.0000  2 Cd 2.69
Cd1 0.0000 0.0000 0.5000  4 As 2.46, 2 Nb 2.69
Hg1 0.5000 0.5000 0.0000  4 Nb 3.48, 8 As 3.65
As1 0.0000 0.5000 0.5000  2 Cd 2.46
As2 0.5000 0.0000 0.5000  2 Cd 2.46

=====

6.
Cd3AsI after structural relaxation. Source: Alexandria via LeMat-Bulk, functional PBEsol.

- Uncorrected formation energy: 4.8 eV per formula unit
- Spin magnetization: 0.0 μB per formula unit
- Energy: -5.7 eV per cell

Cell lengths 5.5600, 5.5600, 5.5600 Å; angles 90.00, 90.00, 90.00 degrees
Last column: nearest neighbours and their distance in Å.
Fractional coordinates of all 5 atoms:
Cd1 0.0000 0.0000 0.5000  2 I 2.78
Cd2 0.0000 0.5000 0.0000  2 I 2.78
Cd3 0.5000 0.0000 0.0000  2 I 2.78
As1 0.5000 0.5000 0.5000  12 Cd 3.93
I1 0.0000 0.0000 0.0000  6 Cd 2.78

=====

7.
Cd2As3I after structural relaxation. Source: Alexandria via LeMat-Bulk, functional PBEsol.

- Uncorrected formation energy: -1.1 eV per formula unit
- Spin magnetization: 0.0 μB per formula unit
- Energy: -41.1 eV per cell

Cell lengths 6.3710, 6.3710, 7.9519 Å; angles 97.23, 97.23, 97.36 degrees
+++

Return the listing further above character by character.

1.
CdIn2AsH after structural relaxation. Source: Alexandria via LeMat-Bulk, functional PBEsol.

- Spin magnetization: 0.0 μB per formula unit
- Energy: -14.3 eV per cell

Cell lengths 4.7834, 4.7834, 4.2055 Å; angles 90.00, 90.00, 90.00 degrees
Last column: nearest neighbours and their distance in Å.
Fractional coordinates of all 5 atoms:
Cd1 0.0000 0.0000 0.0000  2 H 2.10
In1 0.0000 0.5000 0.5000  2 H 2.39
In2 0.5000 0.0000 0.5000  2 H 2.39
As1 0.5000 0.5000 0.0000  8 In 3.18, 4 Cd 3.38
H1 0.0000 0.0000 0.5000  2 Cd 2.10

=====

2.
HfCd3As after structural relaxation. Source: Alexandria via LeMat-Bulk, functional PBEsol.

- Spin magnetization: 0.0 μB per formula unit
- Energy of formation from the pure elements: 4.3 eV per formula unit
- Energy: -14.9 eV per cell

Cell lengths 5.0313, 5.0313, 5.0313 Å; angles 90.00, 90.00, 90.00 degrees
Last column: nearest neighbours and their distance in Å.
Fractional coordinates of all 5 atoms:
Hf1 0.0000 0.0000 0.0000  12 Cd 3.56
Cd1 0.0000 0.5000 0.5000  2 As 2.52
Cd2 0.5000 0.0000 0.5000  2 As 2.52
Cd3 0.5000 0.5000 0.0000  2 As 2.52
As1 0.5000 0.5000 0.5000  6 Cd 2.52

=====

3.
CdHg2As after structural relaxation. Source: Alexandria via LeMat-Bulk, functional PBEsol.

- Excess energy over the best structure of this formula in the dataset: 0 meV/atom
- Spin magnetization: 0.0 μB per formula unit
- Energy of formation from the pure elements: 0.6 eV per formula unit
- Energy: -6.9 eV per cell

Cell lengths 8.7398, 8.7398, 8.7398 Å; angles 22.67, 22.67, 22.67 degrees
Last column: nearest neighbours and their distance in Å.
Fractional coordinates of all 4 atoms:
Cd1 0.0000 0.0000 0.0000  6 Hg 2.94
Hg1 0.2484 0.2484 0.2484  3 As 2.88, 3 Cd 2.94
Hg2 0.7516 0.7516 0.7516  3 As 2.88, 3 Cd 2.94
As1 0.5000 0.5000 0.5000  6 Hg 2.88

=====

4.
CdHg2As after structural relaxation. Source: Alexandria via LeMat-Bulk, functional PBEsol.

- Excess energy over the best structure of this formula in the dataset: 33 meV/atom
- Spin magnetization: 0.0 μB per formula unit
- Energy of formation from the pure elements: 0.7 eV per formula unit
- Energy: -6.7 eV per cell

Cell lengths 4.9623, 4.9623, 4.9623 Å; angles 60.00, 60.00, 60.00 degrees
Last column: nearest neighbours and their distance in Å.
Fractional coordinates of all 4 atoms:
Cd1 0.0000 0.0000 0.0000  4 Hg 3.04, 4 As 3.04
Hg1 0.2500 0.2500 0.2500  4 Cd 3.04, 4 Hg 3.04
Hg2 0.5000 0.5000 0.5000  4 Hg 3.04, 4 As 3.04
As1 0.7500 0.7500 0.7500  4 Hg 3.04, 4 Cd 3.04

=====

5.
NbCdHgAs2 after structural relaxation. Source: Alexandria via LeMat-Bulk, functional PBEsol.

- Spin magnetization: 2.4 μB per formula unit
- Energy of formation from the pure elements: 6.5 eV per formula unit
- Energy: -16.3 eV per cell

Cell lengths 4.9215, 4.9215, 5.3809 Å; angles 90.00, 90.00, 90.00 degrees
Last column: nearest neighbours and their distance in Å.
Fractional coordinates of all 5 atoms:
Nb1 0.0000 0.0000 0.0000  2 Cd 2.69
Cd1 0.0000 0.0000 0.5000  4 As 2.46, 2 Nb 2.69
Hg1 0.5000 0.5000 0.0000  4 Nb 3.48, 8 As 3.65
As1 0.0000 0.5000 0.5000  2 Cd 2.46
As2 0.5000 0.0000 0.5000  2 Cd 2.46

=====

6.
Cd3AsI after structural relaxation. Source: Alexandria via LeMat-Bulk, functional PBEsol.

- Uncorrected formation energy: 4.8 eV per formula unit
- Spin magnetization: 0.0 μB per formula unit
- Energy: -5.7 eV per cell

Cell lengths 5.5600, 5.5600, 5.5600 Å; angles 90.00, 90.00, 90.00 degrees
Last column: nearest neighbours and their distance in Å.
Fractional coordinates of all 5 atoms:
Cd1 0.0000 0.0000 0.5000  2 I 2.78
Cd2 0.0000 0.5000 0.0000  2 I 2.78
Cd3 0.5000 0.0000 0.0000  2 I 2.78
As1 0.5000 0.5000 0.5000  12 Cd 3.93
I1 0.0000 0.0000 0.0000  6 Cd 2.78

=====

7.
Cd2As3I after structural relaxation. Source: Alexandria via LeMat-Bulk, functional PBEsol.

- Uncorrected formation energy: -1.1 eV per formula unit
- Spin magnetization: 0.0 μB per formula unit
- Energy: -41.1 eV per cell

Cell lengths 6.3710, 6.3710, 7.9519 Å; angles 97.23, 97.23, 97.36 degrees